# Entries
1.
Diffraction record for Sr3Se2Cl2O6. The XRD peak list is theoretical, not measured: it uses a DFT-relaxed cell (GGA-PBE, Alexandria) and copper Kα.
Neutral-atom scattering factors, no anomalous dispersion.

Structural model:
```
data_Sr3Se2Cl2O6
_cell_length_a 13.3456
_cell_length_b 5.6579
_cell_length_c 6.9062
_cell_angle_alpha 90.00
_cell_angle_beta 99.01
_cell_angle_gamma 90.00
_symmetry_space_group_name_H-M 'C 1 2 1'
_symmetry_Int_Tables_number 5
loop_
_symmetry_equiv_pos_as_xyz
'x,y,z'
'-x,y,-z'
'x+1/2,y+1/2,z'
'-x+1/2,y+1/2,-z'
loop_
_atom_site_label
_atom_site_fract_x
_atom_site_fract_y
_atom_site_fract_z
_atom_site_occupancy
Sr1 0.0000 0.0000 0.0000 1
Sr2 0.2183 0.5442 0.2117 1
Se1 0.0884 0.5461 0.7391 1
Cl1 0.1689 0.0594 0.3686 1
O1 0.0333 0.5984 0.2259 1
O2 0.1271 0.3005 0.8842 1
O3 0.1497 0.7696 0.8896 1
```

Most intense lines, 2θ = 5–70°, most intense first:
2theta  I/Imax  index
27.36  1000  3 1 -1
32.27  614  1 1 2
31.63  346  0 2 0
45.58  272  4 2 1
12.98  246  0 0 1
31.96  224  4 0 1
26.13  190  0 0 2
53.76  148  3 3 -1
51.12  140  7 1 0
42.40  139  1 1 -3

2.
Diffraction record for Na2PmSn3. The XRD peak list is theoretical, not measured: it uses a DFT-relaxed cell (GGA-PBE, Alexandria) and copper Kα.
Neutral-atom scattering factors, no anomalous dispersion.

Structural model:
```
data_Na2PmSn3
_cell_length_a 3.3351
_cell_length_b 3.3351
_cell_length_c 14.7810
_cell_angle_alpha 90.00
_cell_angle_beta 90.00
_cell_angle_gamma 90.00
_symmetry_space_group_name_H-M 'P 4/m m m'
_symmetry_Int_Tables_number 123
_symmetry_space_group_name_Hall '-P 4 2'
loop_
_atom_site_label
_atom_site_fract_x

# Assignment
Next, filter the contents further above: keep the lines with the word "no".

# Reply
Neutral-atom scattering factors, no anomalous dispersion.
Neutral-atom scattering factors, no anomalous dispersion.